glyph 246: newsletter, online ... social & political philosophy . grassroots democracy . Montana . conservation . collaboration . social & economic justice . economic sustainability . sustainable resource usage . Paul Stephens, editor
The Montana Green Party is a progressive political organization, dedicated to grassroots democracy, social justice, decentralization, respect for diversity, and environmental and economic sustainability. "Our overall goal is not merely to survive, but to share lives that are truly worth living. We believe the quality of our individual lives is enriched by the quality of all of our lives. We encourage everyone to see the dignity and intrinsic worth in all of life, and to take the time to understand and appreciate themselves, their community and the magnificent beauty of this world." -A.S.G.P. Platform
Who We are & What We Believe in
- For more information, please see
- As the new century dawns, we look back with somber reflection at how we have been as a people and as a nation. Realizing our actions will be judged by future generations, we ask how with foresight and wisdom, we can renew the best of our past, calling forth a spirit of change and participation that speaks for a free and democratic society.
- We submit a bold vision of our future, a PLATFORM on which we stand: An ethic of KEY VALUES leading to a POLITICS OF ACTION.
- A hopeful, challenging plan for A PROSPERING, SUSTAINABLE ECONOMY.
- A call to CREATE and CONSERVE a rich, DIVERSE environment characterized by a sense of COMMUNITY.
- What we are proposing is a vision of our common good that goes beyond special interests and the business of politics.
- What we are proposing is an INDEPENDENT POLITICS, a democratic vision that empowers and reaches beyond background and political loyalty to bring together our combined strengths as a people.
- We, the GREEN PARTY, see our political and economic progress, and our individual lives, within the context of an evolving, challenging world.
- As in nature, where adaptation and diversity provide key strategies of survival, a successful political strategy is one that is diverse, adaptable to changing needs, and strong and resilient in its core values:
- DEMOCRACY, practiced most effectively at the grassroots level and in local communities.
- SOCIAL JUSTICE and EQUAL OPPORTUNITY, emphasizing personal and social responsibility, accountability, and non-violence.
- ENVIRONMENTAL and ECONOMIC SUSTAINABILITY, balancing the interests of market- and value-driven business, of the community and land, of living and future generations.
Someone pasted calculated crystals at this point:
'''
(1)
Structure and computed X-ray diffraction stick pattern of Na6GaHg2 (a structure optimized by DFT (GGA-PBE); λ = 1.5418 Å (Cu Kα)).
No peak broadening, texture or thermal motion is included.

a = 10.632 Å, b = 10.632 Å, c = 10.632 Å
α = 29.40°, β = 29.40°, γ = 29.40°
Fractional positions:
Na 0.079 0.079 0.079
Na 0.196 0.196 0.196
Na 0.309 0.309 0.309
Na 0.691 0.691 0.691
Na 0.804 0.804 0.804
Na 0.921 0.921 0.921
Ga 0.500 0.500 0.500
Hg 0.411 0.411 0.411
Hg 0.589 0.589 0.589

Peak list (6 most intense, 10 to 90 degrees two-theta, by intensity)
- 19.2°, d 4.620, I 100
- 33.2°, d 2.698, I 75
- 37.7°, d 2.384, I 55
- 35.1°, d 2.554, I 38
- 24.0°, d 3.710, I 30
- 17.4°, d 5.083, I 29

=====

(2)
Structure and computed X-ray diffraction stick pattern of NaGaHg6 (a structure optimized by DFT (GGA-PBE); λ = 1.5418 Å (Cu Kα)).
No peak broadening, texture or thermal motion is included.

a = 6.155 Å, b = 6.155 Å, c = 6.155 Å
α = 95.56°, β = 95.56°, γ = 95.56°
Fractional positions:
Na 0.000 0.000 0.000
Ga 0.500 0.500 0.500
Hg 0.181 0.181 0.579
Hg 0.181 0.579 0.181
Hg 0.421 0.819 0.819
Hg 0.579 0.181 0.181
Hg 0.819 0.421 0.819
Hg 0.819 0.819 0.421

Peak list (6 most intense, 10 to 90 degrees two-theta, by intensity)
- 24.4°, d 3.649, I 100
- 35.4°, d 2.532, I 92
- 31.4°, d 2.849, I 84
- 28.0°, d 3.191, I 60
- 44.6°, d 2.030, I 36
- 39.5°, d 2.279, I 34

=====

Please write out number 2 again, unchanged.
Structure and computed X-ray diffraction stick pattern of NaGaHg6 (a structure optimized by DFT (GGA-PBE); λ = 1.5418 Å (Cu Kα)).
No peak broadening, texture or thermal motion is included.

a = 6.155 Å, b = 6.155 Å, c = 6.155 Å
α = 95.56°, β = 95.56°, γ = 95.56°
Fractional positions:
Na 0.000 0.000 0.000
Ga 0.500 0.500 0.500
Hg 0.181 0.181 0.579
Hg 0.181 0.579 0.181
Hg 0.421 0.819 0.819
Hg 0.579 0.181 0.181
Hg 0.819 0.421 0.819
Hg 0.819 0.819 0.421

Peak list (6 most intense, 10 to 90 degrees two-theta, by intensity)
- 24.4°, d 3.649, I 100
- 35.4°, d 2.532, I 92
- 31.4°, d 2.849, I 84
- 28.0°, d 3.191, I 60
- 44.6°, d 2.030, I 36
- 39.5°, d 2.279, I 34
'''
Market-oriented explorers and advocates of the above will mutually benefit from exchange of ideas. The Montana Green Party Weekly Bulletin, edited by Paul Stephens, delivered by email, is an interesting and thought provoking window to look through. To subscribe contact Paul at "greateco*atsign*3rivers*dot*net" -leif smith
entered before July 9, 2006